**Exercise**
It remains to work out how many lines underneath have the word "GGA-PBE" in them; a number is enough.

**Contents**
1.
# Dy5Y12Th2
Simulated PXRD pattern, CuKα. Input: a DFT-relaxed cell (GGA-PBE, Alexandria).
Kinematic intensities with the Lorentz-polarization factor, no thermal factor.

Peak list (8 most intense, 2θ = 5–70°, in order of rising 2θ)
two_theta, intensity
31.26, 81
31.44, 82
31.58, 76
31.72, 100
32.75, 80
32.90, 26
33.04, 72
47.21, 33

Crystal structure
Unit cell a=8.412 b=8.757 c=10.033 alpha=94.69 beta=101.36 gamma=118.46
Sites, in units of the cell vectors:
Dy 0.000 0.000 0.000
Dy 0.012 0.659 0.130
Dy 0.148 0.434 0.930
Dy 0.226 0.802 0.532
Dy 0.935 0.321 0.526
Y 0.034 0.024 0.349
Y 0.101 0.077 0.701
Y 0.272 0.476 0.310
Y 0.334 0.898 0.916
Y 0.435 0.033 0.277
Y 0.477 0.641 0.747
Y 0.538 0.364 0.950
Y 0.599 0.760 0.124
Y 0.705 0.114 0.781
Y 0.720 0.522 0.344
Y 0.807 0.217 0.147
Y 0.882 0.621 0.750
Th 0.484 0.283 0.569
Th 0.656 0.847 0.493


2.
# Dy3Y7Th2
Simulated PXRD pattern, CuKα. Input: a DFT-relaxed cell (GGA-PBE, Alexandria).
Kinematic intensities with the Lorentz-polarization factor, no thermal factor.

Peak list (8 most intense, 2θ = 5–70°, in order of rising 2θ)
two_theta, intensity
29.62, 48
30.07, 100
30.81, 78
31.24, 46
31.96, 61
33.62, 54
36.61, 59
51.03, 56

Crystal structure
Unit cell a=3.583 b=6.193 c=17.537 alpha=93.46 beta=95.86 gamma=90.02
Sites, in units of the cell vectors:
Dy 0.000 0.000 0.000
Dy 0.332 0.108 0.666
Dy 0.668 0.892 0.334
Y 0.085 0.693 0.168
Y 0.250 0.744 0.501
Y 0.415 0.803 0.834
Y 0.500 0.500 0.000
Y 0.585 0.197 0.166
Y 0.750 0.256 0.499
Y 0.915 0.307 0.832
Th 0.168 0.384 0.333
Th 0.832 0.616 0.667


3.
# Dy3Y3Th2
Simulated PXRD pattern, CuKα. Input: a DFT-relaxed cell (GGA-PBE, Alexandria).
Kinematic intensities with the Lorentz-polarization factor, no thermal factor.

Peak list (8 most intense, 2θ = 5–70°, in order of rising 2θ)
two_theta, intensity
19.80, 18
28.14, 42
31.55, 67
34.65, 100
51.99, 16
54.11, 57
58.19, 16
65.87, 15

Crystal structure
Unit cell a=6.342 b=6.342 c=6.342 alpha=89.97 beta=89.97 gamma=89.97
Sites, in units of the cell vectors:
Dy 0.000 0.750 0.250
Dy 0.250 0.000 0.750
Dy 0.750 0.250 0.000
Y 0.250 0.500 0.750
Y 0.500 0.750 0.250
Y 0.750 0.250 0.500
Th 0.246 0.246 0.246
Th 0.754 0.754 0.754


4.
# Dy3Y6Th2
Simulated PXRD pattern, CuKα. Input: a DFT-relaxed cell (GGA-PBE, Alexandria).
Kinematic intensities with the Lorentz-polarization factor, no thermal factor.

Peak list (8 most intense, 2θ = 5–70°, in order of rising 2θ)
two_theta, intensity
24.09, 26
27.13, 28
27.50, 33
28.40, 31
31.15, 56
32.26, 100
33.57, 37
33.95, 27

Crystal structure
Unit cell a=5.923 b=12.570 c=10.202 alpha=90.00 beta=90.00 gamma=90.00
Sites, in units of the cell vectors:
Dy 0.000 0.000 0.000
Dy 0.000 0.500 0.319
Dy 0.000 0.500 0.681
Dy 0.500 0.000 0.181
Dy 0.500 0.000 0.819
Dy 0.500 0.500 0.500
Y 0.196 0.300 0.500
Y 0.223 0.282 0.161
Y 0.223 0.282 0.839
Y 0.277 0.782 0.339
Y 0.277 0.782 0.661
Y 0.304 0.800 0.000
Y 0.696 0.200 0.000
Y 0.723 0.218 0.339
Y 0.723 0.218 0.661
Y 0.777 0.718 0.161
Y 0.777 0.718 0.839
Y 0.804 0.700 0.500
Th 0.241 0.555 0.000
Th 0.259 0.055 0.500
Th 0.741 0.945 0.500
Th 0.759 0.445 0.000


5.
# Dy4Y8Th3
Simulated PXRD pattern, CuKα. Input: a DFT-relaxed cell (GGA-PBE, Alexandria).
Kinematic intensities with the Lorentz-polarization factor, no thermal factor.

Peak list (8 most intense, 2θ = 5–70°, in order of rising 2θ)
two_theta, intensity
20.47, 50
27.85, 68
30.31, 100
30.68, 73
30.99, 71
41.64, 45
41.91, 43
42.15, 40

Crystal structure
Unit cell a=9.297 b=9.297 c=6.662 alpha=110.54 beta=110.54 gamma=87.12
Sites, in units of the cell vectors:
Dy 0.000 0.000 0.000
Dy 0.000 0.000 0.500
Dy 0.000 0.500 0.000
Dy 0.500 0.000 0.000
Y 0.248 0.248 0.957
Y 0.248 0.752 0.000
Y 0.272 0.272 0.466
Y 0.354 0.646 0.500
Y 0.646 0.354 0.500
Y 0.728 0.728 0.534
Y 0.752 0.248 0.000
Y 0.752 0.752 0.043
Th 0.000 0.500 0.500
Th 0.500 0.000 0.500
Th 0.500 0.500 0.000


6.
# DyY2Th4
Simulated PXRD pattern, CuKα. Input: a DFT-relaxed cell (GGA-PBE, Alexandria).

**Reply**
6